Function rcudnn::cudaImportExternalMemory[][src]

pub unsafe extern "C" fn cudaImportExternalMemory(
    extMem_out: *mut *mut CUexternalMemory_st,
    memHandleDesc: *const cudaExternalMemoryHandleDesc
) -> cudaError
Expand description

\brief Imports an external memory object

Imports an externally allocated memory object and returns a handle to that in \p extMem_out.

**Crystal structures from another source follow**
[1]
This record from Alexandria via LeMat-Bulk describes a relaxed SrLi2NbC crystal. The functional is GGA-PBE.

a b c (Å): 4.3258 4.3258 5.1353
angles (deg): 90.00 90.00 90.00
Space group P4/mmm (No. 123)
Unique sites:
Sr1 0.0000 0.0000 0.0000 x1
Li1 0.0000 0.5000 0.0000 x2
Nb1 0.0000 0.0000 0.5000 x1
C1 0.5000 0.5000 0.5000 x1

formation energy from the elements	2.71	eV/atom

[2]
This record from Alexandria via LeMat-Bulk describes a relaxed LiNb2TeC crystal. The functional is GGA-PBE.

a b c (Å): 4.5423 4.5423 4.0788
angles (deg): 90.00 90.00 90.00
Space group P4/mmm (No. 123)
Unique sites:
Li1 0.0000 0.0000 0.0000 x1
Nb1 0.0000 0.5000 0.0000 x2
Te1 0.0000 0.0000 0.5000 x1
C1 0.5000 0.5000 0.5000 x1

ΔE_f (raw)	9.30	eV/f.u.

* * * * *

(1)
First-principles (GGA-PBE) data for Th2PtPb after structural relaxation, as listed in Alexandria.

The structure belongs to space group R-3m (No. 166, hexagonal axes); the cell edges are 4.2586, 4.2586 and 23.0627 Å and the angles 90.00°, 90.00° and 120.00°. The asymmetric unit holds Th at (0.0000, 0.0000, 0.2374), Pt at (0.0000, 0.0000, 0.5000) and Pb at (0.0000, 0.0000, 0.0000).

Its density of states at the Fermi level is 14.1 states/eV/cell. The crystal system is trigonal. For the formation energy, the calculation gives -650 meV/atom.


(2)
First-principles (GGA-PBE) data for Ti2PtPb2 after structural relaxation, as listed in Alexandria.

The structure belongs to space group P4/mbm (No. 127); the cell edges are 6.782, 6.782 and 4.638 Å and the angles 90.00°, 90.00° and 90.00°. The asymmetric unit holds Ti at (0.149, 0.351, 0.000), Pt at (0.000, 0.000, 0.000) and Pb at (0.169, 0.669, 0.500).

Its density of states at the Fermi level is 7.7 states/eV/cell. The crystal system is tetragonal. For the formation energy, the calculation gives -58 meV/atom.

The properties of the handle being imported must be described in \p memHandleDesc. The ::cudaExternalMemoryHandleDesc structure is defined as follows:

# Next to the page, the page also holds materials data
........
Entry 1:
The following is a PBE-GGA calculation of a geometry-optimized BaTcBr6 structure, from Alexandria.

The space group is P-1 (No. 2) and the conventional cell measures 7.053, 7.063 and 7.675 Å, with angles of 90.06, 117.29 and 119.86 degrees. The inequivalent atoms are Ba at (0.000, 0.000, 0.000), Tc at (0.000, 0.500, 0.500), Br at (0.170, 0.479, 0.277), Br at (0.201, 0.309, 0.723) and Br at (0.413, 0.891, 0.723).

The calculation puts the energy above the most stable polymorph in this dataset at 14.9 meV per atom.

***

Entry 2:
The following is a PBE-GGA calculation of a geometry-optimized BaTcBr structure, from Alexandria.

The space group is P3m1 (No. 156) and the conventional cell measures 3.9038, 3.9038 and 7.0170 Å, with angles of 90.00, 90.00 and 120.00 degrees. The inequivalent atoms are Ba at (0.0000, 0.0000, 0.0000), Tc at (0.3333, 0.6667, 0.6371) and Br at (0.6667, 0.3333, 0.3598).

The calculation puts the energy above the most stable polymorph in this dataset at 245.9 meV per atom.

***

Computed total DFT energy (no corrections), in the same sequence as the records: -3.801; -4.102 eV per atom.
Computed E_form (uncorrected), in the same sequence as the records: -1010; 551 meV per atom.

* * * * *

# LaTaCd2 | the Alexandria database | GGA-PBE | relaxed
data_LaTaCd2
_cell_length_a 6.155
_cell_length_b 9.443
_cell_length_c 3.155
_cell_angle_alpha 90.00
_cell_angle_beta 90.00
_cell_angle_gamma 90.00
_symmetry_space_group_name_H-M 'C m m m'
_symmetry_Int_Tables_number 65
_symmetry_space_group_name_Hall '-C 2 2'
loop_
_atom_site_label
_atom_site_type_symbol
_atom_site_fract_x
_atom_site_fract_y
_atom_site_fract_z
_atom_site_occupancy
La1 La 0.000 0.000 0.000 1
Ta1 Ta 0.000 0.500 0.000 1
Cd1 Cd 0.250 0.250 0.500 1
# uncorrected energy: -4.39 eV per atom


# LaTa2Cd | the Alexandria database | GGA-PBE | relaxed
data_LaTa2Cd
_cell_length_a 6.202
_cell_length_b 9.872
_cell_length_c 2.890
_cell_angle_alpha 90.00
_cell_angle_beta 90.00
_cell_angle_gamma 90.00
_symmetry_space_group_name_H-M 'C m m m'
_symmetry_Int_Tables_number 65
_symmetry_space_group_name_Hall '-C 2 2'
loop_
_atom_site_label
_atom_site_type_symbol
_atom_site_fract_x
_atom_site_fract_y
_atom_site_fract_z
_atom_site_occupancy
La1 La 0.000 0.000 0.000 1
Ta1 Ta 0.250 0.250 0.500 1
Cd1 Cd 0.000 0.500 0.000 1
# uncorrected energy: -6.75 eV per atom


# LaTaCd2 | the Alexandria database | GGA-PBE | relaxed
data_LaTaCd2
_cell_length_a 3.1074
_cell_length_b 3.1074
_cell_length_c 33.1695
_cell_angle_alpha 90.00
_cell_angle_beta 90.00
_cell_angle_gamma 120.00
_symmetry_space_group_name_H-M 'R -3 m'
_symmetry_Int_Tables_number 166
_symmetry_space_group_name_Hall '-R 3 2"'
loop_
_atom_site_label
_atom_site_type_symbol
_atom_site_fract_x
_atom_site_fract_y
_atom_site_fract_z
_atom_site_occupancy
La1 La 0.0000 0.0000 0.0000 1
Ta1 Ta 0.0000 0.0000 0.5000 1
Cd1 Cd 0.0000 0.0000 0.2426 1
# uncorrected energy: -4.37 eV per atom


# LaTaCd | the Alexandria database | GGA-PBE | relaxed
........

\code typedef struct cudaExternalMemoryHandleDesc_st { cudaExternalMemoryHandleType type; union { int fd; struct { void *handle; const void *name; } win32; const void *nvSciBufObject; } handle; unsigned long long size; unsigned int flags; } cudaExternalMemoryHandleDesc; \endcode

where ::cudaExternalMemoryHandleDesc::type specifies the type of handle being imported. ::cudaExternalMemoryHandleType is defined as:

\code typedef enum cudaExternalMemoryHandleType_enum { cudaExternalMemoryHandleTypeOpaqueFd = 1, cudaExternalMemoryHandleTypeOpaqueWin32 = 2, cudaExternalMemoryHandleTypeOpaqueWin32Kmt = 3, cudaExternalMemoryHandleTypeD3D12Heap = 4, cudaExternalMemoryHandleTypeD3D12Resource = 5, cudaExternalMemoryHandleTypeD3D11Resource = 6, cudaExternalMemoryHandleTypeD3D11ResourceKmt = 7, cudaExternalMemoryHandleTypeNvSciBuf = 8 } cudaExternalMemoryHandleType; \endcode

If ::cudaExternalMemoryHandleDesc::type is ::cudaExternalMemoryHandleTypeOpaqueFd, then ::cudaExternalMemoryHandleDesc::handle::fd must be a valid file descriptor referencing a memory object. Ownership of the file descriptor is transferred to the CUDA driver when the handle is imported successfully. Performing any operations on the file descriptor after it is imported results in undefined behavior.

If ::cudaExternalMemoryHandleDesc::type is ::cudaExternalMemoryHandleTypeOpaqueWin32, then exactly one of ::cudaExternalMemoryHandleDesc::handle::win32::handle and ::cudaExternalMemoryHandleDesc::handle::win32::name must not be NULL. If ::cudaExternalMemoryHandleDesc::handle::win32::handle is not NULL, then it must represent a valid shared NT handle that references a memory object. Ownership of this handle is not transferred to CUDA after the import operation, so the application must release the handle using the appropriate system call. If ::cudaExternalMemoryHandleDesc::handle::win32::name is not NULL, then it must point to a NULL-terminated array of UTF-16 characters that refers to a memory object.

If ::cudaExternalMemoryHandleDesc::type is ::cudaExternalMemoryHandleTypeOpaqueWin32Kmt, then ::cudaExternalMemoryHandleDesc::handle::win32::handle must be non-NULL and ::cudaExternalMemoryHandleDesc::handle::win32::name must be NULL. The handle specified must be a globally shared KMT handle. This handle does not hold a reference to the underlying object, and thus will be invalid when all references to the memory object are destroyed.

If ::cudaExternalMemoryHandleDesc::type is ::cudaExternalMemoryHandleTypeD3D12Heap, then exactly one of ::cudaExternalMemoryHandleDesc::handle::win32::handle and ::cudaExternalMemoryHandleDesc::handle::win32::name must not be NULL. If ::cudaExternalMemoryHandleDesc::handle::win32::handle is not NULL, then it must represent a valid shared NT handle that is returned by ID3D12Device::CreateSharedHandle when referring to a ID3D12Heap object. This handle holds a reference to the underlying object. If ::cudaExternalMemoryHandleDesc::handle::win32::name is not NULL, then it must point to a NULL-terminated array of UTF-16 characters that refers to a ID3D12Heap object.

If ::cudaExternalMemoryHandleDesc::type is ::cudaExternalMemoryHandleTypeD3D12Resource, then exactly one of ::cudaExternalMemoryHandleDesc::handle::win32::handle and ::cudaExternalMemoryHandleDesc::handle::win32::name must not be NULL. If ::cudaExternalMemoryHandleDesc::handle::win32::handle is not NULL, then it must represent a valid shared NT handle that is returned by ID3D12Device::CreateSharedHandle when referring to a ID3D12Resource object. This handle holds a reference to the underlying object. If ::cudaExternalMemoryHandleDesc::handle::win32::name is not NULL, then it must point to a NULL-terminated array of UTF-16 characters that refers to a ID3D12Resource object.

If ::cudaExternalMemoryHandleDesc::type is ::cudaExternalMemoryHandleTypeD3D11Resource,then exactly one of ::cudaExternalMemoryHandleDesc::handle::win32::handle and ::cudaExternalMemoryHandleDesc::handle::win32::name must not be NULL. If ::cudaExternalMemoryHandleDesc::handle::win32::handle is not NULL, then it must represent a valid shared NT handle that is returned by IDXGIResource1::CreateSharedHandle when referring to a ID3D11Resource object. If ::cudaExternalMemoryHandleDesc::handle::win32::name is not NULL, then it must point to a NULL-terminated array of UTF-16 characters that refers to a ID3D11Resource object.

No. 1
! NbCuPt | OQMD | PBE | relaxed; values from VASP
! ΔH_f (0 K) = 229.4 meV/atom
! Symmetry = F-43m
&SYSTEM
  ibrav = 0, nat = 3, ntyp = 3
/
ATOMIC_SPECIES
Nb 92.91 Nb.upf
Cu 63.55 Cu.upf
Pt 195.08 Pt.upf
CELL_PARAMETERS angstrom
0.000 3.021 3.021
3.021 0.000 3.021
3.021 3.021 0.000
ATOMIC_POSITIONS crystal
Nb 0.000 0.000 0.000
Cu 0.750 0.750 0.750
Pt 0.250 0.250 0.250

No. 2
! LuNpHg | OQMD | PBE | relaxed; values from VASP
! ΔH_f (0 K) = 450.7 meV/atom
! Symmetry = F-43m
&SYSTEM
  ibrav = 0, nat = 3, ntyp = 3
/
ATOMIC_SPECIES
Lu 174.97 Lu.upf
Np 237.00 Np.upf
Hg 200.59 Hg.upf
CELL_PARAMETERS angstrom
0.000 3.585 3.585
3.585 0.000 3.585
3.585 3.585 0.000
ATOMIC_POSITIONS crystal
Lu 0.000 0.000 0.000
Np 0.500 0.500 0.500
Hg 0.250 0.250 0.250


[1]
VASP calculation (PBE-GGA) on a geometry-optimized Tl5In2F12 structure.

Energy relative to the elements, uncorrected = -39.25 eV/f.u.
E = -79.0 eV/cell
V = 399 Å³/cell

Unit cell a=6.8209 b=8.0743 c=8.4671 alpha=107.33 beta=90.00 gamma=114.99
Last column: magnetic moment on the atom in μB.
Fractional coordinates of all 19 atoms:
Tl 0.2893 0.5787 0.6207  0.01
Tl 0.3091 0.6182 0.1886  0.01
Tl 0.0000 0.0000 0.5000  0.25
Tl 0.6909 0.3818 0.8114  0.01
Tl 0.7107 0.4213 0.3793  0.01
In 0.7517 0.0000 0.0000  0.00
In 0.2483 0.0000 0.0000  0.00
F 0.9996 0.9992 0.1616  0.01
F 0.1103 0.7051 0.9159  0.00
F 0.5948 0.7051 0.9159  0.00
F 0.0964 0.7374 0.4344  0.09
F 0.6409 0.7374 0.4344  0.09
F 0.5001 0.0003 0.8398  0.00
F 0.4999 0.9997 0.1602  0.00
F 0.9036 0.2626 0.5656  0.09
F 0.3591 0.2626 0.5656  0.09
F 0.8897 0.2949 0.0841  0.00
F 0.4052 0.2949 0.0841  0.00
F 0.0004 0.0008 0.8384  0.01



[2]
VASP calculation (PBE-GGA) on a geometry-optimized TlIn3F structure.

Energy relative to the elements, uncorrected = -2.42 eV/f.u.
Energy relative to the lowest polymorph listed for this composition = 0.000 eV per atom
E = -14.9 eV/cell
V = 135 Å³/cell

Unit cell a=5.1330 b=5.1330 c=5.1330 alpha=90.00 beta=90.00 gamma=90.00
Fractional coordinates of all 5 atoms:
Tl 0.5000 0.5000 0.5000
F 0.0000 0.0000 0.0000
In 0.0000 0.5000 0.0000
In 0.0000 0.0000 0.5000
In 0.5000 0.0000 0.0000



[3]
VASP calculation (PBE-GGA) on a geometry-optimized TlInF2 structure.

Energy relative to the elements, uncorrected = -6.97 eV/f.u.
Energy relative to the lowest polymorph listed for this composition = 0.000 eV per atom
E = -15.8 eV/cell
V = 91 Å³/cell

Unit cell a=5.2292 b=4.1243 c=4.1964 alpha=90.00 beta=89.96 gamma=90.00
Fractional coordinates of all 4 atoms:
Tl 0.2232 0.2961 0.0701
In 0.7692 0.7960 0.5696
F 0.5347 0.2958 0.5698
F 0.5411 0.7959 0.0697



[4]
VASP calculation (PBE-GGA) on a geometry-optimized TlIn2F2 structure.

Energy relative to the elements, uncorrected = -6.55 eV/f.u.
Energy relative to the lowest polymorph listed for this composition = 0.000 eV per atom
E = -18.1 eV/cell
V = 109 Å³/cell

Unit cell a=3.9233 b=3.9233 c=7.6282 alpha=75.10 beta=75.10 gamma=90.00
Fractional coordinates of all 5 atoms:

If ::cudaExternalMemoryHandleDesc::type is ::cudaExternalMemoryHandleTypeD3D11ResourceKmt, then ::cudaExternalMemoryHandleDesc::handle::win32::handle must be non-NULL and ::cudaExternalMemoryHandleDesc::handle::win32::name must be NULL. The handle specified must be a valid shared KMT handle that is returned by IDXGIResource::GetSharedHandle when referring to a ID3D11Resource object.

If ::cudaExternalMemoryHandleDesc::type is ::cudaExternalMemoryHandleTypeNvSciBuf, then ::cudaExternalMemoryHandleDesc::handle::nvSciBufObject must be NON-NULL and reference a valid NvSciBuf object. If the NvSciBuf object imported into CUDA is also mapped by other drivers, then the application must use ::cudaWaitExternalSemaphoresAsync or ::cudaSignalExternalSemaphoresAsync as approprriate barriers to maintain coherence between CUDA and the other drivers.

The size of the memory object must be specified in ::cudaExternalMemoryHandleDesc::size.

Specifying the flag ::cudaExternalMemoryDedicated in ::cudaExternalMemoryHandleDesc::flags indicates that the resource is a dedicated resource. The definition of what a dedicated resource is outside the scope of this extension. This flag must be set if ::cudaExternalMemoryHandleDesc::type is one of the following: ::cudaExternalMemoryHandleTypeD3D12Resource ::cudaExternalMemoryHandleTypeD3D11Resource ::cudaExternalMemoryHandleTypeD3D11ResourceKmt

\param extMem_out - Returned handle to an external memory object \param memHandleDesc - Memory import handle descriptor

\return ::cudaSuccess, ::cudaErrorInvalidResourceHandle \notefnerr \note_init_rt \note_callback

\note If the Vulkan memory imported into CUDA is mapped on the CPU then the application must use vkInvalidateMappedMemoryRanges/vkFlushMappedMemoryRanges as well as appropriate Vulkan pipeline barriers to maintain coherence between CPU and GPU. For more information on these APIs, please refer to “Synchronization and Cache Control” chapter from Vulkan specification.

\sa ::cudaDestroyExternalMemory, ::cudaExternalMemoryGetMappedBuffer, ::cudaExternalMemoryGetMappedMipmappedArray